Sunday, February 28, 2016

Mujahadah itu sukar

Baru sahaja berikrar untuk bermujahadah (refer to previous post), Allah terus menguji. Diuji dengan perasaan, diuji dengan relationship, diuji dengan istiqamah etc Allahu, benarlah syurga tuhan itu mahal. Papa selalu pesan, Allah kata, ingat syurga Aku itu murah, huh? *tampar diri sendiri*

Baru 2 hari, beratnya hati dan diri diuji. hurm.

Alhamdulillah semalam sempat bermujahadah ke padang, menunaikan hak badan yang tertangguh berbulan lamanya. Namun, ujian itu datang bertubi-tubi. Hurm

Mami pernah berpesan, tengok pada perkara yang Allah bagi. Ya, ujian itu datang, tapi Allah itu Maha Penyayang.

Ada benarnya, malam itu, ada orang berkongsi ayat. Surah Al-Ahqah, ayat 13-14, berkaitan ciri-ciri penghuni syurga. Dia mengaku tiada tuhan melain Allah, Allah itu Rabbnya, tidak risau dengan apa yang akan berlaku dan tidak sedih dengan apa yang telah berlaku. dan dia taat pada kedua ibu-bapanya.


Peringatan buat diri.

Walau apapun yang berlaku, kembali kepada tuhan.

Jangan bersedih hati, jangan terlalu risau.

Ada benda yang luar dari kawalan.

Ada benda yang telah berlaku.

Letakkan kepercayaan kepada Dia, Yang Maha Esa.

Dia, yang memegang hati manusia.

Buat apa yang patut anda lakukan.

Apabila seorang pemuda bertanya kepada Imam Hasan Al-Basri :

"Aku telah banyak melakukan maksiat,mengapa aku tidak dihukum oleh Allah?" Lantas Imam Hassan Al Basri bertanya kembali kepada pemuda itu..

"Apakah setiap malam kamu bangun tahajud?"

"Tidak." ujar pemuda itu.

"Itulah hukuman kamu yang seberat-beratnya.Tiada hukuman yang lebih perit jika Allah telah berpaling darimu. Dia tidak lagi mahu "berbicara" dan "mendengar bicara " darimu, dibiarkan lena itu panjang padamu..

"Cukuplah Allah swt menarik nikmat dan kelazatan tahajud dalam dirimu itu sebagai hukuman kepadamu"

Allahu rabbi. :(


Kembali kepada tuhan, wahai diri.

Have faith in Him and him.

ان الذين قالوا ربنا الله ثم استقاموا فلا خوف عليهم ولا هم يحزنون
Sesungguhnya orang-orang yang menegaskan keyakinannya dengan berkata: "Tuhan kami ialah Allah", kemudian mereka tetap teguh di atas jalan yang betul (dengan pengakuan iman dan tauhidnya itu), maka tidak ada kebimbangan (dari sesuatu yang tidak baik) terhadap mereka, dan mereka pula tidak akan berdukacita. 46;13

اولئك اصحاب الجنة خالدين فيها جزاء بما كانوا يعملون
Merekalah ahli Syurga, tetap kekalah mereka di dalamnya, sebagai balasan bagi amal-amal soleh yang mereka telah kerjakan. 46;14

Jom Mujahadah! p.s lukisan ketika di International Dinner yang lepas. Melayan perasaan. huhu.

9 Jamadilawwal 1437

Thursday, February 25, 2016

One quarter

Time surely fly fast. 
In need of increasing the gear.
Gear 6, shall we?


Can't believe myself.
One quarter of the academic year to final exam....  And here I am still writing blog post.  Sobs.

Panic attack begun yesterday. Wake up multiple of times at night and difficult waking up in the morning for the round.

Hurm.  I will keep on writing to keep my sanity.  To remind myself that all is well.  And I have been go through a lot before. 
It is just I have forgot how it feels.  I have gone through the worse, so why dwell of small little things? Manusia sangatt. 

So,  dear myself (and you who read),

Stay firm. 
Stay cool.
Stay awesome.
Enjoy each moment in your life.
Time will fly.
It will not wait for you. 
Be the best.

As a muslim,
You know Allah will ask about your time spent.
You know that you are khairan ummati.  The best ummah.
You know that Allah wants you to do the best.
You know that you are an ambassador of ummah.
And remember,  you are a Muslim first before a medical student. 


If you are a frequent reader of my blog, you know that those messages have been repeated countless time before.  But who cares,  I want to repeat it again! Lols.  Just joking.  It is just a reminder for me.  (pelupa sangat)

In need of positive vibes.  Yosh!! I can do it!! Lols.

A reminder from FB.  My FB status  3 years ago. 

Alkisah seorang ibu dan anak yang ber-skype

M: masa dapat berita kakak ipar masuk hospital sebab baby, macam-macam berlaku

J: jadi apa? *muka penuh kerisauan*

M: paip rumah pecah, dah 2 hari Mami dan Papa angkut air dari luar. Lepas tuh, few days before Papa tak sihat, tak boleh pergi kerja. Tapi harituh Alhamdulillah dah sihat. Harituh jugak, plumber datang rumah nak baiki. nak pergi awal hospital lawat kakak ipar tapi tuh la last-last malam jugak baru dapat pergi. Pagi tuh, bibik untuk nenek pun baru sampai. Nak kena uruskan dokumen. Petang tuh pulak ada usrah dan mesyuarat untuk gotong royong.........

J: *lagi risau* *hati gelisah*

M: TAPI Mami dan Papa selalu ingat ayat ni - فَإِنَّ مَعَ ٱلۡعُسۡرِ يُسۡرًا dua kali Allah sebut dan ma'a maksudnya bersama. Papa check dalam tafsir fil zilal pun kata 'mengiringi' dan Yasmin Mogahed pulak kata "together" and it is indeed so true! even thought the baby was not survived dan macam-macam ujian yang ada hari tuh, we did receive some good news! Your books about Parenting akhirnya sampai after 2 months of waiting and etc etc *other good news- let it be just between us*

J: hurm. betul betul betul.

M: this is just a small matter. Cuba compare dengan ujian nabi, kena baling batu, kena hina, kena maki, etc2 sikit je yang kita diuji

J: Teringat cerita Anas bin Malik dan Nabi.. *bermulalah kisah*... dan cerita Aisyah dan Nabi pun sweet....
M: aah, sekarang Mami dan Papa suka dengar Yasmin Mogahed, Nouman Ali Khan n latest Imam Suhaib Webb - tajuk "repentence"

J: oh, really? what is it about?
.....................................and the skype continue.......

M: kita terlalu banyak teori, kurang praktikal. In our life, whatever happens, relate back. to Him. He gives us ujian/musibah is because He wants us to prepare for a bigger ujian. and only selected people will get the ujian from Him.

The end.

indeed the best companion is the one who remind me of Him, The Almighty.
senyum TITM


Lets go back to book. 

P/s picture from radiology department.  Lols. Random. 

Surau CSI
15 jamadalawwal 1437H

Wednesday, February 24, 2016


It happens again. 
When I answered wrongly,  I got stressed out. 
It is not that I don't know. 
The differential diagnosis of ulcer at pressure point are arterial or neuropathic ulcer. 
The management of prostate ca. 
The staging. 
The score.

It is not that I don't know!
It is just the pressure. 
And I start mumbling around.  Urgh.

Now,  it starts again. Finding things to blame.
Being the perfectionist and it effects my daily life. 
Even when the intern showing favouritism,  I get annoyed. 
Even when my English getting worse and grammatical error all over the place (after 7 weeks of hospital-free),  get me annoyed. 

Now,  I am trying to find something to blame. 

One thing now I have realised.

I am afraid of making mistakes. 
I am afraid of failures. 
I am afraid if things go wrong. 

I am scared. 

Dear myself,
Allah is the most perfect.
He knows best. 
Don't be afraid. You are not perfect. 

If this life is perfect, what would be heaven is? Learning is a lifetime  journey and mistake is part of learning. 

Learn.  Learn.  Learn.
(even after 5 years,  you are  still the same.  :(

كُتِبَ عَلَيْكُمُ الْقِتَالُ وَهُوَ كُرْهٌ لَكُمْ ۖ وَعَسَىٰ أَنْ تَكْرَهُوا شَيْئًا وَهُوَ خَيْرٌ لَكُمْ ۖ وَعَسَىٰ أَنْ تُحِبُّوا شَيْئًا وَهُوَ شَرٌّ لَكُمْ ۗ وَاللَّهُ يَعْلَمُ وَأَنْتُمْ لَا تَعْلَمُونَ

Fighting has been enjoined upon you while it is hateful to you. But perhaps you hate a thing and it is good for you; and perhaps you love a thing and it is bad for you. And Allah Knows, while you know not. 2:216

Even how scared you are of failure,  remember He is the Most Perfect! And re define success,  dear. 



14 Jamadalawwal 1437H

Tuesday, February 9, 2016

One after another

My friend's mother just passed away today.

(Materials data, as found in the file)
~~~
A relaxed structure of NbSi2Bi. Source: Alexandria, functional PBE-GGA.

abc: 6.169 6.169 11.973
angles: 90.00 90.00 90.00
Element x y z (fractional)
Nb1 0.000 0.000 0.000
Nb2 0.000 0.500 0.250
Nb3 0.500 0.000 0.750
Nb4 0.500 0.500 0.500
Si1 0.211 0.250 0.125
Si2 0.250 0.711 0.375
Si3 0.250 0.789 0.875
Si4 0.289 0.250 0.625
Si5 0.711 0.750 0.625
Si6 0.750 0.211 0.875
Si7 0.750 0.289 0.375
Si8 0.789 0.750 0.125
Bi1 0.000 0.000 0.500
Bi2 0.000 0.500 0.750
Bi3 0.500 0.000 0.250
Bi4 0.500 0.500 0.000

Its total magnetic moment is 0.00 Bohr magnetons per cell. The raw total energy comes out at -5.521 eV/atom.

***

A relaxed structure of Nb2SiBi. Source: Alexandria, functional PBE-GGA.

abc: 4.122 4.122 19.664
angles: 90.00 90.00 90.00
Element x y z (fractional)
Nb1 0.222 0.250 0.125
Nb2 0.250 0.722 0.375
Nb3 0.250 0.778 0.875
Nb4 0.278 0.250 0.625
Nb5 0.722 0.750 0.625
Nb6 0.750 0.222 0.875
Nb7 0.750 0.278 0.375
Nb8 0.778 0.750 0.125
Si1 0.000 0.000 0.000
Si2 0.000 0.500 0.250
Si3 0.500 0.000 0.750
Si4 0.500 0.500 0.500
Bi1 0.000 0.000 0.500
Bi2 0.000 0.500 0.750
Bi3 0.500 0.000 0.250
Bi4 0.500 0.500 0.000

Its total magnetic moment is 0.00 Bohr magnetons per cell. For the relative energy among the computed polymorphs, the calculation gives 266 meV per atom.

***

A relaxed structure of Nb2SiBi. Source: Alexandria, functional PBE-GGA.

abc: 6.701 6.701 6.701
angles: 90.00 90.00 90.00
Element x y z (fractional)
Nb1 0.250 0.250 0.250
Nb2 0.250 0.250 0.750
Nb3 0.250 0.750 0.250
Nb4 0.250 0.750 0.750
Nb5 0.750 0.250 0.250
Nb6 0.750 0.250 0.750
Nb7 0.750 0.750 0.250
Nb8 0.750 0.750 0.750
Si1 0.000 0.000 0.000
Si2 0.000 0.500 0.500
Si3 0.500 0.000 0.500
Si4 0.500 0.500 0.000
Bi1 0.000 0.000 0.500
Bi2 0.000 0.500 0.000
Bi3 0.500 0.000 0.000
Bi4 0.500 0.500 0.500

Its total magnetic moment is 0.00 Bohr magnetons per cell. For the relative energy among the computed polymorphs, the calculation gives 0 meV per atom.

***

A relaxed structure of Nb2SiSnBi. Source: Alexandria, functional PBE-GGA.

abc: 5.343 5.343 5.688
angles: 90.00 90.00 90.00
Element x y z (fractional)
Nb1 0.000 0.500 0.000
Nb2 0.500 0.000 0.000
Si1 0.000 0.000 0.500
Sn1 0.500 0.500 0.500
Bi1 0.500 0.500 0.000

Its total magnetic moment is 4.41 Bohr magnetons per cell. The raw total energy comes out at -4.750 eV/atom.

***

A relaxed structure of NbVSiBi2. Source: Alexandria, functional PBE-GGA.

abc: 5.335 5.335 4.467
angles: 90.00 90.00 90.00
Element x y z (fractional)
Nb1 0.000 0.000 0.000
V1 0.500 0.500 0.000
Si1 0.500 0.500 0.500
Bi1 0.000 0.500 0.500
Bi2 0.500 0.000 0.500

Its total magnetic moment is 3.58 Bohr magnetons per cell. The raw total energy comes out at -5.315 eV/atom.

***

A relaxed structure of Nb2VSiBi. Source: Alexandria, functional PBE-GGA.

abc: 4.683 4.683 5.244
angles: 90.00 90.00 90.00
Element x y z (fractional)
Nb1 0.000 0.500 0.000
Nb2 0.500 0.000 0.000
V1 0.000 0.000 0.500
Si1 0.500 0.500 0.000
Bi1 0.500 0.500 0.500
~~~

She is my classmate.  Final year medical student who has just another 4 months to finish her degree. 

But Allah knows best. 

DariNya kita datang,  kepadaNya jua kita kembali. 

She is in Malaysia at the moment. Just 1 hour late before her mother took her last breath. 



I don't know if I will ever be ready to let 'go'  of my parents.

Just called home and cried badly. And Papa's response,  "What time is it now? Go and sleep la"  sobss. 

Cukup solehahkah aku untuk mu,  Papa dan Mami? :(


Bertubi-tubi peringatan kematian sejak akhir-akhir ini. 
Tidak mengenal usia.


Berhenti mengeluh,  wahai diri.

P/s dan baru sahaja mendapat berita seorang sahabat Irish baru  memeluk Islam.  She is the one who loves to sleep over at our house,  join isoc activities and today Alhamdulillah she is revert. Indeed,  Allah is the best planner. Allahuakbar

P/s this is the picture of my cousin who passed away last November.  May Allah grant both of them with Jannah.  Amin. 

28 Rabiulakhir 1437H

Monday, February 8, 2016

What would you do?

Considering you are (self)  retired debater,  and someone asked you to join the debate (public speaking).  What would you do?

Considering you are comfortable doing something and someone said you should stop doing it for a while because of a very valid reason.  What would you do?

Considering you really want to talk or text someone telling them how scared you are waiting for exam result and someone told you not to because you need to focus on your hectic class and tutorial.  What would you do?

Considering you want to tell the whole world what happens in your life which is exciting and challenging and someone told you not to.  What would you do?

Fighting your own self is hard. 
You really want to do it,  but you know you shouldn't. 
You really want to improve but it is not that easy. 

Mum told me,  it is less than 100 days.  Hang it there.  Almost there.  Give your best.  Focus.  Don't be so distracted (even though you denied it as distraction because you just enjoy it so much.  Lols)

 Almost there.
There are things that you need to push boundaries. (like public speaking stuffs)
And there things just remained as it is.

There was a leader once told me, why I choose this path? Because I want to die as a Muslim. We never know when we will die.  And I hope by choosing this,  I can die as a Muslim.

Choose your path wisely. 

Alhamdulillah.  Done the 'public speaking'  ketaq habaq hang.  -_-'
This is the last week of this rotation and next week is full of lectures.  And then I am back in HOSPITAL! Be afraid, this kiasu medical student is coming! Haha. 

I am ok. 
Yes,  I am okay.

P/s someone = conscious mind. 

Large Lecture Theatre
28 Rabiualakhielr 1437H

Wednesday, February 3, 2016



FB sends this notification.  "You have memories with bla bla on today"

So,  here is one of it (back to 3 years ago) in which I don't totally remember when I wrote that and who said it! Just some mysterious man/woman.  Lols.



Just another rant. 

2nd week of 2nd rotation.  Just finished the 8-to-5-with-30-mins-break tutorial day.  Cramp otak.  Lols.  And just finished the PSA (Prescribing Safety Assessment,  not PSA for prostate okkk).  What an experienced! Mengada nak ambik -_-'

Another big decision making needs to be made.  Cuak dia sampai tak nak buka message ituHaish. Can you give me time to think,  please? *bulat mata* - perasan orang tu baca.  Lols. 

Things are getting busier. Alhamdulillah.
Dulu waktu lapang,  merengek.  Bila waktu sibuk pun merengek.  Manusia.  Haish.  Sila besyukur.

Why am I writing this stuff? Why I share it here? I know someone knows why.  And deep inside I know the reason.  Hurm. 

Kena tajdid niat kenapa ada blog.  Just for social sharing? Nak seluruh dunia tahu?
I have remained my Instagram with only 1 photo for quite a while and rarely share on my FB.  Managed to restrict Twitter for medical stuffs (with a bit of articles.  But rarely personal) and Google Plus for general knowledge and spiritual articles and videos. 

So,  left out with this.  Tempatkulepak.  As the name it says a place to lepak and the heading of Kata-Kata Aku.  It really plays it  role.  Lols.  To think about it,  it has been almost 8 years with that name! Zaman tak matang.  But the content did change.  Evolved. The reasons for writing are keep on changing.  Mardhatillah.  Towards His blessings.

Back then, my mum and my sister are my loyal stalkers.  Lols.  Now,  they are just too busy (or people are leaving blog and change to FB)

Things change.
Towards the better. 
Tajdid niat,  yosh!


23 RabiulAkhir 1437H